Request:
Filter the block further down: keep the lines with the word "Na2LiB5P2O14".
Source:
........
VASP calculation (PBE) on an optimized crystal structure of Sc2Zn.

Summary:
Crystal system: hexagonal
Fermi-level density of states, states/eV/cell: 12.8
E_form, eV per atom: -0.150
Energy, eV/atom: -4.80

POSCAR file:
```
Sc2Zn
1.0
7.146 0.000 0.000
-3.573 6.189 0.000
0.000 0.000 4.348
Sc Zn
6 3
Direct
0.000 0.258 0.000
0.000 0.592 0.500
0.258 0.000 0.000
0.408 0.408 0.500
0.592 0.000 0.500
0.742 0.742 0.000
0.000 0.000 0.500
0.333 0.667 0.000
0.667 0.333 0.000
```

VASP calculation (PBE) on an optimized crystal structure of Tb5Al2.

Summary:
Crystal system: orthorhombic
Fermi-level density of states, states/eV/cell: 16.2
E_form, eV per atom: -0.182
Offset from the most stable computed form, eV/f.u.: 0.13
Energy, eV/atom: -4.56

POSCAR file:
```
Tb5Al2
1.0
-3.997 7.287 3.312
3.997 -7.287 3.312
3.997 7.287 -3.312
Tb Al
10 4
Direct
0.015 0.250 0.765
0.084 0.663 0.748
0.250 0.250 0.000
0.416 0.163 0.579
0.485 0.250 0.235
0.515 0.750 0.765
0.584 0.837 0.421
0.750 0.750 0.000
0.916 0.337 0.252
0.985 0.750 0.235
0.126 0.271 0.398
0.374 0.771 0.145
0.626 0.229 0.855
0.874 0.729 0.602
```

VASP calculation (PBE) on an optimized crystal structure of BaFePt3.

Summary:
Crystal system: cubic
Fermi-level density of states, states/eV/cell: 12.7
E_form, eV per atom: 2.043
Offset from the most stable computed form, eV/f.u.: 10.21
Energy, eV/atom: -3.66

POSCAR file:
```
BaFePt3
1.0
5.354 0.000 0.000
0.000 5.354 0.000
0.000 0.000 5.354
Ba Fe Pt
1 1 3
Direct
0.000 0.000 0.000
0.500 0.500 0.500
0.000 0.000 0.500
0.000 0.500 0.000
0.500 0.000 0.000
```

~~~~~

Entry 1:
First-principles (PBE-GGA) data for a relaxed LiTl6Hg12 crystal, as listed in the Alexandria database.

Computed properties:
E	-1.066	eV/atom

Lattice parameters (Å, degrees): 14.1243 14.1243 9.7011 90.00 90.00 120.00
Space group R-3 (No. 148, hexagonal axes)
One atom of each set of equivalent atoms:
Li  0.0000  0.0000  0.0000 (multiplicity 3)
Tl  0.0008  0.7925  0.7503 (multiplicity 18)
Hg  0.0056  0.2004  0.5834 (multiplicity 18)
Hg  0.0067  0.8016  0.0884 (multiplicity 18)

=====

Entry 2:
First-principles (PBE-GGA) data for a relaxed PrY2SbO8 crystal, as listed in the Alexandria database.

Computed properties:
uncorrected formation energy	-2426	meV/atom

Lattice parameters (Å, degrees): 4.181 7.416 5.262 90.00 93.82 90.00
Space group P2/m (No. 10)
One atom of each set of equivalent atoms:
Pr  0.000  0.000  0.000 (multiplicity 1)
Y  0.500  0.258  0.500 (multiplicity 2)
Sb  0.000  0.500  0.000 (multiplicity 1)
O  0.055  0.289  0.755 (multiplicity 4)
O  0.419  0.500  0.213 (multiplicity 2)
O  0.494  0.000  0.259 (multiplicity 2)

=====

Entry 3:
First-principles (PBE-GGA) data for a relaxed PaB crystal, as listed in the Alexandria database.

Computed properties:
relative energy among the computed polymorphs	0	meV/atom

Lattice parameters (Å, degrees): 3.873 3.206 5.121 90.00 105.21 90.00
Space group P2_1/m (No. 11)
One atom of each set of equivalent atoms:
Pa  0.111  0.250  0.294 (multiplicity 2)
B  0.473  0.250  0.916 (multiplicity 2)

=====

Entry 4:
First-principles (PBE-GGA) data for a relaxed ScRh3 crystal, as listed in the Alexandria database.

Computed properties:
E	-7.453	eV/atom

Lattice parameters (Å, degrees): 3.319 3.319 5.682 90.00 90.00 90.00
Space group P4/mmm (No. 123)
One atom of each set of equivalent atoms:
Sc  0.000  0.000  0.000 (multiplicity 1)
Rh  0.000  0.000  0.500 (multiplicity 1)
Rh  0.500  0.500  0.262 (multiplicity 2)

=====

Entry 5:
First-principles (PBE-GGA) data for a relaxed LiBeW2 crystal, as listed in the Alexandria database.

Computed properties:
E	-7.446	eV/atom

Lattice parameters (Å, degrees): 3.249 4.084 8.316 90.00 90.00 90.00
Space group Immm (No. 71)
One atom of each set of equivalent atoms:
Li  0.000  0.000  0.000 (multiplicity 2)
Be  0.000  0.000  0.500 (multiplicity 2)
W  0.000  0.500  0.228 (multiplicity 4)

=====

Entry 6:
First-principles (PBE-GGA) data for a relaxed Na2LiB5P2O14 crystal, as listed in the Alexandria database.
........
Done:
First-principles (PBE-GGA) data for a relaxed Na2LiB5P2O14 crystal, as listed in the Alexandria database.